_Input_
No. 1
Structure and simulated powder X-ray diffraction pattern of CePaTe2O (a DFT-relaxed cell (GGA-PBE, Alexandria); Cu Kα (weighted mean of Kα1 and Kα2)).
Neutral-atom scattering factors, no anomalous dispersion.

Peak list (8 most intense, 2θ from 10° to 90°, low angle first)
d = 3.662 Å, 24.3 deg, I = 17; d = 2.947 Å, 30.3 deg, I = 100; d = 2.751 Å, 32.6 deg, I = 93; d = 2.296 Å, 39.2 deg, I = 24; d = 2.083 Å, 43.4 deg, I = 42; d = 2.077 Å, 43.6 deg, I = 17; d = 1.661 Å, 55.3 deg, I = 42; d = 1.317 Å, 71.6 deg, I = 22

Crystal structure
```
CePaTe2O
1.0
4.1670 0.0000 0.0000
0.0000 4.1670 0.0000
0.0000 0.0000 14.6477
Ce Pa Te O
2 2 4 2
direct
0.2500 0.2500 0.0789
0.7500 0.7500 0.9211
0.2500 0.2500 0.5871
0.7500 0.7500 0.4129
0.2500 0.2500 0.3704
0.2500 0.2500 0.8022
0.7500 0.7500 0.1978
0.7500 0.7500 0.6296
0.2500 0.7500 0.0000
0.7500 0.2500 0.0000
```

No. 2
Structure and simulated powder X-ray diffraction pattern of Cr2PtRh3 (a DFT-relaxed cell (GGA-PBE, Alexandria); Cu Kα (weighted mean of Kα1 and Kα2)).
Neutral-atom scattering factors, no anomalous dispersion.

Peak list (8 most intense, 2θ from 10° to 90°, low angle first)
d = 4.052 Å, 21.9 deg, I = 12; d = 3.308 Å, 27.0 deg, I = 9; d = 2.865 Å, 31.2 deg, I = 57; d = 2.026 Å, 44.7 deg, I = 100; d = 1.654 Å, 55.6 deg, I = 15; d = 1.433 Å, 65.1 deg, I = 16; d = 1.281 Å, 74.0 deg, I = 20; d = 1.170 Å, 82.5 deg, I = 32

Crystal structure
```
Cr2PtRh3
1.0
5.7300 0.0000 0.0000
0.0000 5.7300 0.0000
0.0000 0.0000 5.7300
Cr Pt Rh
4 2 6
direct
0.0000 0.0000 0.0000
0.0000 0.5000 0.5000
0.5000 0.0000 0.5000
0.5000 0.5000 0.0000
0.2500 0.2500 0.2500
0.7500 0.7500 0.7500
0.2500 0.2500 0.7500
0.2500 0.7500 0.2500
0.2500 0.7500 0.7500
0.7500 0.2500 0.2500
0.7500 0.2500 0.7500
0.7500 0.7500 0.2500
```

No. 3
Structure and simulated powder X-ray diffraction pattern of Nd2MgNi3Ge4 (a DFT-relaxed cell (GGA-PBE, Alexandria); Cu Kα (weighted mean of Kα1 and Kα2)).
Neutral-atom scattering factors, no anomalous dispersion.

Peak list (8 most intense, 2θ from 10° to 90°, low angle first)
d = 2.958 Å, 30.2 deg, I = 24; d = 2.646 Å, 33.9 deg, I = 60; d = 2.562 Å, 35.0 deg, I = 100; d = 2.092 Å, 43.3 deg, I = 54; d = 1.840 Å, 49.5 deg, I = 27; d = 1.641 Å, 56.0 deg, I = 28; d = 1.479 Å, 62.8 deg, I = 26; d = 1.281 Å, 74.0 deg, I = 26

Crystal structure
```
Nd2MgNi3Ge4
1.0
4.1837 0.0000 0.0000
0.0000 4.1837 0.0000
0.0000 0.0000 10.2462
Nd Mg Ni Ge
2 1 3 4
direct
0.0000 0.5000 0.2368
0.5000 0.0000 0.7632
0.0000 0.0000 0.5000
0.0000 0.5000 0.8847
0.5000 0.0000 0.1153
0.5000 0.5000 0.5000
0.0000 0.0000 0.0000
0.0000 0.5000 0.6524
0.5000 0.0000 0.3476
0.5000 0.5000 0.0000
```

No. 4
Structure and simulated powder X-ray diffraction pattern of Th4Al12Os (a DFT-relaxed cell (GGA-PBE, Alexandria); Cu Kα (weighted mean of Kα1 and Kα2)).
Neutral-atom scattering factors, no anomalous dispersion.

Peak list (8 most intense, 2θ from 10° to 90°, low angle first)
d = 4.430 Å, 20.0 deg, I = 41; d = 3.132 Å, 28.5 deg, I = 100; d = 2.558 Å, 35.1 deg, I = 42; d = 2.215 Å, 40.7 deg, I = 38; d = 1.981 Å, 45.8 deg, I = 22; d = 1.808 Å, 50.5 deg, I = 41; d = 1.566 Å, 59.0 deg, I = 25; d = 1.184 Å, 81.3 deg, I = 23

Crystal structure
```
Th4Al12Os
1.0
-4.4298 4.4298 4.4298
4.4298 -4.4298 4.4298
4.4298 4.4298 -4.4298
Th Al Os
4 12 1
direct
0.0000 0.0000 0.5000
0.0000 0.5000 0.0000
0.5000 0.0000 0.0000
0.5000 0.5000 0.5000
0.0000 0.2891 0.2891
0.0000 0.7109 0.7109
0.2500 0.5000 0.7500
0.2500 0.7500 0.5000
0.2891 0.0000 0.2891
0.2891 0.2891 0.0000
0.5000 0.2500 0.7500
0.5000 0.7500 0.2500
0.7109 0.0000 0.7109
0.7109 0.7109 0.0000
0.7500 0.2500 0.5000
0.7500 0.5000 0.2500
0.0000 0.0000 0.0000
```

No. 5
Structure and simulated powder X-ray diffraction pattern of Sr2Ag4SnBi3 (a DFT-relaxed cell (GGA-PBE, Alexandria); Cu Kα (weighted mean of Kα1 and Kα2)).
Neutral-atom scattering factors, no anomalous dispersion.

Peak list (8 most intense, 2θ from 10° to 90°, low angle first)

_Brief_
Print all of the block further up exactly.

_Solution_
No. 1
Structure and simulated powder X-ray diffraction pattern of CePaTe2O (a DFT-relaxed cell (GGA-PBE, Alexandria); Cu Kα (weighted mean of Kα1 and Kα2)).
Neutral-atom scattering factors, no anomalous dispersion.

Peak list (8 most intense, 2θ from 10° to 90°, low angle first)
d = 3.662 Å, 24.3 deg, I = 17; d = 2.947 Å, 30.3 deg, I = 100; d = 2.751 Å, 32.6 deg, I = 93; d = 2.296 Å, 39.2 deg, I = 24; d = 2.083 Å, 43.4 deg, I = 42; d = 2.077 Å, 43.6 deg, I = 17; d = 1.661 Å, 55.3 deg, I = 42; d = 1.317 Å, 71.6 deg, I = 22

Crystal structure
```
CePaTe2O
1.0
4.1670 0.0000 0.0000
0.0000 4.1670 0.0000
0.0000 0.0000 14.6477
Ce Pa Te O
2 2 4 2
direct
0.2500 0.2500 0.0789
0.7500 0.7500 0.9211
0.2500 0.2500 0.5871
0.7500 0.7500 0.4129
0.2500 0.2500 0.3704
0.2500 0.2500 0.8022
0.7500 0.7500 0.1978
0.7500 0.7500 0.6296
0.2500 0.7500 0.0000
0.7500 0.2500 0.0000
```

No. 2
Structure and simulated powder X-ray diffraction pattern of Cr2PtRh3 (a DFT-relaxed cell (GGA-PBE, Alexandria); Cu Kα (weighted mean of Kα1 and Kα2)).
Neutral-atom scattering factors, no anomalous dispersion.

Peak list (8 most intense, 2θ from 10° to 90°, low angle first)
d = 4.052 Å, 21.9 deg, I = 12; d = 3.308 Å, 27.0 deg, I = 9; d = 2.865 Å, 31.2 deg, I = 57; d = 2.026 Å, 44.7 deg, I = 100; d = 1.654 Å, 55.6 deg, I = 15; d = 1.433 Å, 65.1 deg, I = 16; d = 1.281 Å, 74.0 deg, I = 20; d = 1.170 Å, 82.5 deg, I = 32

Crystal structure
```
Cr2PtRh3
1.0
5.7300 0.0000 0.0000
0.0000 5.7300 0.0000
0.0000 0.0000 5.7300
Cr Pt Rh
4 2 6
direct
0.0000 0.0000 0.0000
0.0000 0.5000 0.5000
0.5000 0.0000 0.5000
0.5000 0.5000 0.0000
0.2500 0.2500 0.2500
0.7500 0.7500 0.7500
0.2500 0.2500 0.7500
0.2500 0.7500 0.2500
0.2500 0.7500 0.7500
0.7500 0.2500 0.2500
0.7500 0.2500 0.7500
0.7500 0.7500 0.2500
```

No. 3
Structure and simulated powder X-ray diffraction pattern of Nd2MgNi3Ge4 (a DFT-relaxed cell (GGA-PBE, Alexandria); Cu Kα (weighted mean of Kα1 and Kα2)).
Neutral-atom scattering factors, no anomalous dispersion.

Peak list (8 most intense, 2θ from 10° to 90°, low angle first)
d = 2.958 Å, 30.2 deg, I = 24; d = 2.646 Å, 33.9 deg, I = 60; d = 2.562 Å, 35.0 deg, I = 100; d = 2.092 Å, 43.3 deg, I = 54; d = 1.840 Å, 49.5 deg, I = 27; d = 1.641 Å, 56.0 deg, I = 28; d = 1.479 Å, 62.8 deg, I = 26; d = 1.281 Å, 74.0 deg, I = 26

Crystal structure
```
Nd2MgNi3Ge4
1.0
4.1837 0.0000 0.0000
0.0000 4.1837 0.0000
0.0000 0.0000 10.2462
Nd Mg Ni Ge
2 1 3 4
direct
0.0000 0.5000 0.2368
0.5000 0.0000 0.7632
0.0000 0.0000 0.5000
0.0000 0.5000 0.8847
0.5000 0.0000 0.1153
0.5000 0.5000 0.5000
0.0000 0.0000 0.0000
0.0000 0.5000 0.6524
0.5000 0.0000 0.3476
0.5000 0.5000 0.0000
```

No. 4
Structure and simulated powder X-ray diffraction pattern of Th4Al12Os (a DFT-relaxed cell (GGA-PBE, Alexandria); Cu Kα (weighted mean of Kα1 and Kα2)).
Neutral-atom scattering factors, no anomalous dispersion.

Peak list (8 most intense, 2θ from 10° to 90°, low angle first)
d = 4.430 Å, 20.0 deg, I = 41; d = 3.132 Å, 28.5 deg, I = 100; d = 2.558 Å, 35.1 deg, I = 42; d = 2.215 Å, 40.7 deg, I = 38; d = 1.981 Å, 45.8 deg, I = 22; d = 1.808 Å, 50.5 deg, I = 41; d = 1.566 Å, 59.0 deg, I = 25; d = 1.184 Å, 81.3 deg, I = 23

Crystal structure
```
Th4Al12Os
1.0
-4.4298 4.4298 4.4298
4.4298 -4.4298 4.4298
4.4298 4.4298 -4.4298
Th Al Os
4 12 1
direct
0.0000 0.0000 0.5000
0.0000 0.5000 0.0000
0.5000 0.0000 0.0000
0.5000 0.5000 0.5000
0.0000 0.2891 0.2891
0.0000 0.7109 0.7109
0.2500 0.5000 0.7500
0.2500 0.7500 0.5000
0.2891 0.0000 0.2891
0.2891 0.2891 0.0000
0.5000 0.2500 0.7500
0.5000 0.7500 0.2500
0.7109 0.0000 0.7109
0.7109 0.7109 0.0000
0.7500 0.2500 0.5000
0.7500 0.5000 0.2500
0.0000 0.0000 0.0000
```

No. 5
Structure and simulated powder X-ray diffraction pattern of Sr2Ag4SnBi3 (a DFT-relaxed cell (GGA-PBE, Alexandria); Cu Kα (weighted mean of Kα1 and Kα2)).
Neutral-atom scattering factors, no anomalous dispersion.

Peak list (8 most intense, 2θ from 10° to 90°, low angle first)